-- Entries --
=====
No. 1
Density functional theory data (PBE) for an optimized crystal structure of Na3Zr2Ti2SiP5O24.

Output
Energy of formation = -3.08 eV/atom
Size of the total moment = 0.000 μB/atom
V = 1552.5 Å³/cell

Geometry as POSCAR:
```
Na3Zr2Ti2SiP5O24
1.0
-4.071 -7.782 1.188
8.551 0.833 2.024
-5.639 6.181 21.286
Na Zr Ti Si P O
9 6 6 3 15 72
Direct
0.367 0.003 0.750 Na
0.669 0.968 0.585 Na
0.667 0.698 0.083 Na
0.007 0.000 0.501 Na
0.007 0.005 0.997 Na
0.673 0.340 0.834 Na
0.667 0.333 0.333 Na
0.326 0.666 0.167 Na
0.328 0.656 0.667 Na
0.000 0.999 0.353 Zr
0.007 0.004 0.146 Zr
0.324 0.666 0.019 Zr
0.327 0.664 0.521 Zr
0.333 0.667 0.314 Zr
0.336 0.664 0.814 Zr
0.992 0.000 0.852 Ti
0.005 0.999 0.648 Ti
0.670 0.330 0.686 Ti
0.674 0.337 0.186 Ti
0.670 0.337 0.981 Ti
0.658 0.330 0.482 Ti
0.719 0.005 0.748 Si
0.375 0.052 0.585 Si
0.952 0.614 0.083 Si
0.300 0.007 0.249 P
0.707 0.702 0.248 P
0.995 0.293 0.249 P
0.285 0.283 0.749 P
0.992 0.711 0.750 P
0.949 0.330 0.584 P
0.672 0.618 0.584 P
0.667 0.053 0.083 P
0.387 0.332 0.083 P
0.633 0.667 0.918 P
0.034 0.367 0.916 P
0.333 0.968 0.916 P
0.626 0.965 0.419 P
0.339 0.374 0.418 P
0.033 0.659 0.418 P
0.213 0.033 0.304 O
0.821 0.788 0.303 O
0.966 0.180 0.304 O
0.201 0.166 0.804 O
0.971 0.802 0.805 O
0.839 0.029 0.806 O
0.810 0.976 0.690 O
0.170 0.194 0.695 O
0.030 0.833 0.695 O
0.789 0.816 0.193 O
0.027 0.209 0.195 O
0.181 0.972 0.195 O
0.863 0.359 0.639 O
0.503 0.142 0.642 O
0.644 0.503 0.639 O
0.852 0.494 0.141 O
0.639 0.137 0.138 O
0.500 0.362 0.138 O
0.471 0.306 0.028 O
0.824 0.521 0.027 O
0.691 0.164 0.028 O
0.476 0.172 0.527 O
0.697 0.532 0.529 O
0.834 0.301 0.530 O
0.553 0.699 0.973 O
0.151 0.452 0.971 O
0.302 0.848 0.969 O
0.544 0.851 0.474 O
0.307 0.458 0.472 O
0.152 0.694 0.471 O
0.120 0.633 0.363 O
0.512 0.879 0.364 O
0.367 0.487 0.363 O
0.118 0.485 0.862 O
0.364 0.882 0.861 O
0.514 0.636 0.864 O
0.019 0.826 0.411 O
0.807 0.981 0.411 O
0.175 0.192 0.411 O
0.020 0.186 0.908 O
0.168 0.982 0.907 O
0.814 0.830 0.908 O
0.964 0.163 0.591 O
0.182 0.028 0.593 O
0.831 0.806 0.591 O
0.960 0.804 0.088 O
0.828 0.028 0.089 O
0.202 0.173 0.088 O
0.691 0.176 0.742 O
0.467 0.300 0.742 O
0.832 0.530 0.742 O
0.688 0.519 0.241 O
0.830 0.309 0.242 O
0.480 0.169 0.241 O
0.647 0.500 0.925 O
0.853 0.350 0.926 O
0.498 0.146 0.925 O
0.645 0.148 0.426 O
0.504 0.358 0.425 O
0.853 0.497 0.426 O
0.373 0.501 0.077 O
0.144 0.637 0.080 O
0.508 0.864 0.078 O
0.368 0.863 0.579 O
0.510 0.644 0.578 O
0.132 0.492 0.579 O
0.315 0.840 0.256 O
0.526 0.686 0.256 O
0.158 0.475 0.256 O
0.303 0.465 0.755 O
0.161 0.699 0.756 O
0.520 0.838 0.755 O
```

No. 2
Density functional theory data (PBE) for an optimized crystal structure of K3Re.

Output
Energy of formation = 1.50 eV/atom
Size of the total moment = 0.952 μB/atom
V = 170.5 Å³/cell

Geometry as POSCAR:
```
K3Re
1.0
2.185 -3.662 5.044
3.008 4.308 4.003
-6.078 0.292 -2.569
K Re
3 1
Direct
0.750 0.250 0.500 K
0.250 0.750 0.500 K
0.500 0.500 0.000 K
0.000 0.000 0.000 Re
```

No. 3
Density functional theory data (PBE) for an optimized crystal structure of Te4MoW3Se2S2.

Output
Energy of formation = -0.46 eV/atom
Size of the total moment = 0.000 μB/atom
V = 387.3 Å³/cell

Geometry as POSCAR:
```
Te4MoW3Se2S2
1.0
-0.972 1.714 -2.766
-1.238 -3.105 0.596
-29.386 15.548 19.960
Te Mo W Se S
4 1 3 2 2
Direct
0.333 0.667 0.046 Te
0.333 0.667 0.421 Te
0.333 0.667 0.142 Te
0.333 0.667 0.518 Te
0.000 0.000 0.094 Mo
0.000 0.000 0.470 W
0.333 0.667 0.282 W
0.333 0.667 0.658 W
0.000 0.000 0.700 Se
0.000 0.000 0.615 Se
0.000 0.000 0.321 S
0.000 0.000 0.243 S
```

No. 4
Density functional theory data (PBE) for an optimized crystal structure of BaU2As2O22.

Output
Energy of formation = -1.36 eV/atom
Size of the total moment = 0.154 μB/atom
V = 979.9 Å³/cell

Geometry as POSCAR:
```
BaU2As2O22
1.0
-0.862 5.855 -4.069
-5.139 2.371 4.501
8.931 10.922 13.824
Ba U As O
2 4 4 44
Direct
0.010 0.500 0.250 Ba
0.990 0.500 0.750 Ba
0.748 0.708 0.052 U
0.748 0.292 0.448 U
0.252 0.292 0.948 U
=====

-- What to do --
The reader should restate all of the data earlier on unchanged.

-- Solution --
No. 1
Density functional theory data (PBE) for an optimized crystal structure of Na3Zr2Ti2SiP5O24.

Output
Energy of formation = -3.08 eV/atom
Size of the total moment = 0.000 μB/atom
V = 1552.5 Å³/cell

Geometry as POSCAR:
```
Na3Zr2Ti2SiP5O24
1.0
-4.071 -7.782 1.188
8.551 0.833 2.024
-5.639 6.181 21.286
Na Zr Ti Si P O
9 6 6 3 15 72
Direct
0.367 0.003 0.750 Na
0.669 0.968 0.585 Na
0.667 0.698 0.083 Na
0.007 0.000 0.501 Na
0.007 0.005 0.997 Na
0.673 0.340 0.834 Na
0.667 0.333 0.333 Na
0.326 0.666 0.167 Na
0.328 0.656 0.667 Na
0.000 0.999 0.353 Zr
0.007 0.004 0.146 Zr
0.324 0.666 0.019 Zr
0.327 0.664 0.521 Zr
0.333 0.667 0.314 Zr
0.336 0.664 0.814 Zr
0.992 0.000 0.852 Ti
0.005 0.999 0.648 Ti
0.670 0.330 0.686 Ti
0.674 0.337 0.186 Ti
0.670 0.337 0.981 Ti
0.658 0.330 0.482 Ti
0.719 0.005 0.748 Si
0.375 0.052 0.585 Si
0.952 0.614 0.083 Si
0.300 0.007 0.249 P
0.707 0.702 0.248 P
0.995 0.293 0.249 P
0.285 0.283 0.749 P
0.992 0.711 0.750 P
0.949 0.330 0.584 P
0.672 0.618 0.584 P
0.667 0.053 0.083 P
0.387 0.332 0.083 P
0.633 0.667 0.918 P
0.034 0.367 0.916 P
0.333 0.968 0.916 P
0.626 0.965 0.419 P
0.339 0.374 0.418 P
0.033 0.659 0.418 P
0.213 0.033 0.304 O
0.821 0.788 0.303 O
0.966 0.180 0.304 O
0.201 0.166 0.804 O
0.971 0.802 0.805 O
0.839 0.029 0.806 O
0.810 0.976 0.690 O
0.170 0.194 0.695 O
0.030 0.833 0.695 O
0.789 0.816 0.193 O
0.027 0.209 0.195 O
0.181 0.972 0.195 O
0.863 0.359 0.639 O
0.503 0.142 0.642 O
0.644 0.503 0.639 O
0.852 0.494 0.141 O
0.639 0.137 0.138 O
0.500 0.362 0.138 O
0.471 0.306 0.028 O
0.824 0.521 0.027 O
0.691 0.164 0.028 O
0.476 0.172 0.527 O
0.697 0.532 0.529 O
0.834 0.301 0.530 O
0.553 0.699 0.973 O
0.151 0.452 0.971 O
0.302 0.848 0.969 O
0.544 0.851 0.474 O
0.307 0.458 0.472 O
0.152 0.694 0.471 O
0.120 0.633 0.363 O
0.512 0.879 0.364 O
0.367 0.487 0.363 O
0.118 0.485 0.862 O
0.364 0.882 0.861 O
0.514 0.636 0.864 O
0.019 0.826 0.411 O
0.807 0.981 0.411 O
0.175 0.192 0.411 O
0.020 0.186 0.908 O
0.168 0.982 0.907 O
0.814 0.830 0.908 O
0.964 0.163 0.591 O
0.182 0.028 0.593 O
0.831 0.806 0.591 O
0.960 0.804 0.088 O
0.828 0.028 0.089 O
0.202 0.173 0.088 O
0.691 0.176 0.742 O
0.467 0.300 0.742 O
0.832 0.530 0.742 O
0.688 0.519 0.241 O
0.830 0.309 0.242 O
0.480 0.169 0.241 O
0.647 0.500 0.925 O
0.853 0.350 0.926 O
0.498 0.146 0.925 O
0.645 0.148 0.426 O
0.504 0.358 0.425 O
0.853 0.497 0.426 O
0.373 0.501 0.077 O
0.144 0.637 0.080 O
0.508 0.864 0.078 O
0.368 0.863 0.579 O
0.510 0.644 0.578 O
0.132 0.492 0.579 O
0.315 0.840 0.256 O
0.526 0.686 0.256 O
0.158 0.475 0.256 O
0.303 0.465 0.755 O
0.161 0.699 0.756 O
0.520 0.838 0.755 O
```

No. 2
Density functional theory data (PBE) for an optimized crystal structure of K3Re.

Output
Energy of formation = 1.50 eV/atom
Size of the total moment = 0.952 μB/atom
V = 170.5 Å³/cell

Geometry as POSCAR:
```
K3Re
1.0
2.185 -3.662 5.044
3.008 4.308 4.003
-6.078 0.292 -2.569
K Re
3 1
Direct
0.750 0.250 0.500 K
0.250 0.750 0.500 K
0.500 0.500 0.000 K
0.000 0.000 0.000 Re
```

No. 3
Density functional theory data (PBE) for an optimized crystal structure of Te4MoW3Se2S2.

Output
Energy of formation = -0.46 eV/atom
Size of the total moment = 0.000 μB/atom
V = 387.3 Å³/cell

Geometry as POSCAR:
```
Te4MoW3Se2S2
1.0
-0.972 1.714 -2.766
-1.238 -3.105 0.596
-29.386 15.548 19.960
Te Mo W Se S
4 1 3 2 2
Direct
0.333 0.667 0.046 Te
0.333 0.667 0.421 Te
0.333 0.667 0.142 Te
0.333 0.667 0.518 Te
0.000 0.000 0.094 Mo
0.000 0.000 0.470 W
0.333 0.667 0.282 W
0.333 0.667 0.658 W
0.000 0.000 0.700 Se
0.000 0.000 0.615 Se
0.000 0.000 0.321 S
0.000 0.000 0.243 S
```

No. 4
Density functional theory data (PBE) for an optimized crystal structure of BaU2As2O22.

Output
Energy of formation = -1.36 eV/atom
Size of the total moment = 0.154 μB/atom
V = 979.9 Å³/cell

Geometry as POSCAR:
```
BaU2As2O22
1.0
-0.862 5.855 -4.069
-5.139 2.371 4.501
8.931 10.922 13.824
Ba U As O
2 4 4 44
Direct
0.010 0.500 0.250 Ba
0.990 0.500 0.750 Ba
0.748 0.708 0.052 U
0.748 0.292 0.448 U
0.252 0.292 0.948 U